**Listing**
# La2TlHg | the Alexandria database | GGA-PBEsol | relaxed
data_La2TlHg
_chemical_formula_sum 'La4 Tl2 Hg2'
_space_group_name_H-M_alt 'I -4 m 2'
_space_group_IT_number 119
_space_group_name_Hall 'I -4 -2'
_cell_length_a 4.6392
_cell_length_b 4.6392
_cell_length_c 10.3440
_cell_angle_alpha 90.00
_cell_angle_beta 90.00
_cell_angle_gamma 90.00
loop_
_atom_site_label
_atom_site_fract_x
_atom_site_fract_y
_atom_site_fract_z
_atom_site_occupancy
La1 0.0000 0.0000 0.0000 1
La2 0.0000 0.5000 0.2500 1
Tl1 0.0000 0.0000 0.5000 1
Hg1 0.0000 0.5000 0.7500 1
# E_form   -435 meV/atom
# DOS at the Fermi energy   1.1316 states/eV/atom
# Total moment   0.0 Bohr magnetons per cell


The following is a GGA-PBEsol calculation of an optimized crystal structure of KSrBe2, from Alexandria via LeMat-Bulk.

a = 4.0777 Å, b = 4.0777 Å, c = 8.8394 Å
α = 102.86°, β = 102.86°, γ = 60.07°
Last column: nearest neighbours and their distance in Å.
Positions (direct):
K (0.0000, 0.0000, 0.0000)  6 Be 3.39-3.40
Sr (0.8339, 0.8339, 0.4865)  6 Be 3.05-3.06
Be (0.2401, 0.2401, 0.7140)  3 Be 2.35-2.36
Be (0.5746, 0.5746, 0.7139)  3 Be 2.35-2.36

## Properties
E above lowest polymorph = 0.000 eV/atom
space group = No. 8
formation energy = 517 meV/atom
mass density = 1.95 g cm⁻³
total magnetization = 0.0 μB/f.u.



The following is a GGA-PBEsol calculation of an optimized crystal structure of TbB2C, from Alexandria via LeMat-Bulk.

a = 6.7726 Å, b = 6.7726 Å, c = 7.4169 Å
α = 90.00°, β = 90.00°, γ = 90.00°
Last column: nearest neighbours and their distance in Å.
Positions (direct):
Tb (0.1902, 0.3098, 0.2500)  4 C 2.59-2.60, 10 B 2.63-2.76
Tb (0.1902, 0.3098, 0.7500)  4 C 2.59-2.60, 10 B 2.63-2.76
Tb (0.3098, 0.8098, 0.2500)  4 C 2.59-2.60, 10 B 2.63-2.76
Tb (0.3098, 0.8098, 0.7500)  4 C 2.59-2.60, 10 B 2.63-2.76
Tb (0.6902, 0.1902, 0.2500)  4 C 2.59-2.60, 10 B 2.63-2.76
Tb (0.6902, 0.1902, 0.7500)  4 C 2.59-2.60, 10 B 2.63-2.76
Tb (0.8098, 0.6902, 0.2500)  4 C 2.59-2.60, 10 B 2.63-2.76
Tb (0.8098, 0.6902, 0.7500)  4 C 2.59-2.60, 10 B 2.63-2.76
B (0.0342, 0.8492, 0.0000)  2 C 1.62, 1 B 1.76
B (0.0946, 0.5968, 0.0000)  1 C 1.59, 1 B 1.76
B (0.0968, 0.5946, 0.5000)  1 C 1.59, 1 B 1.76
B (0.1508, 0.0342, 0.5000)  2 C 1.62, 1 B 1.76
B (0.3492, 0.5342, 0.5000)  2 C 1.62, 1 B 1.76
B (0.4032, 0.0946, 0.5000)  1 C 1.59, 1 B 1.76
B (0.4054, 0.0968, 0.0000)  1 C 1.59, 1 B 1.76
B (0.4658, 0.3492, 0.0000)  2 C 1.62, 1 B 1.76
B (0.5342, 0.6508, 0.0000)  2 C 1.62, 1 B 1.76
B (0.5946, 0.9032, 0.0000)  1 C 1.59, 1 B 1.76
B (0.5968, 0.9054, 0.5000)  1 C 1.59, 1 B 1.76
B (0.6508, 0.4658, 0.5000)  2 C 1.62, 1 B 1.76
B (0.8492, 0.9658, 0.5000)  2 C 1.62, 1 B 1.76
B (0.9032, 0.4054, 0.5000)  1 C 1.59, 1 B 1.76
B (0.9054, 0.4032, 0.0000)  1 C 1.59, 1 B 1.76
B (0.9658, 0.1508, 0.0000)  2 C 1.62, 1 B 1.76
C (0.0409, 0.8221, 0.5000)  3 B 1.59-1.62
C (0.1779, 0.0409, 0.0000)  3 B 1.59-1.62
C (0.3221, 0.5409, 0.0000)  3 B 1.59-1.62
C (0.4591, 0.3221, 0.5000)  3 B 1.59-1.62
C (0.5409, 0.6779, 0.5000)  3 B 1.59-1.62
C (0.6779, 0.4591, 0.0000)  3 B 1.59-1.62
C (0.8221, 0.9591, 0.0000)  3 B 1.59-1.62
C (0.9591, 0.1779, 0.5000)  3 B 1.59-1.62

## Properties
space group = No. 135
formation energy = -586 meV/atom
mass density = 7.52 g cm⁻³
total magnetization = 0.0 μB/f.u.



The following is a GGA-PBEsol calculation of an optimized crystal structure of LiAlPHO5, from Alexandria via LeMat-Bulk.

a = 5.0215 Å, b = 5.2062 Å, c = 7.0195 Å
α = 106.33°, β = 109.08°, γ = 98.35°
Last column: nearest neighbours and their distance in Å.
Positions (direct):
Li (0.2475, 0.3893, 0.3159)  5 O 1.98-2.09
Li (0.7525, 0.6107, 0.6841)  5 O 1.98-2.09
Al (0.5000, 0.0000, 0.0000)  6 O 1.90-1.92
Al (0.5000, 0.0000, 0.5000)  6 O 1.85-1.92
P (0.1744, 0.3575, 0.7317)  4 O 1.54-1.55
P (0.8256, 0.6425, 0.2683)  4 O 1.54-1.55
H (0.1500, 0.9276, 0.1528)  1 O 1.00
H (0.8500, 0.0724, 0.8472)  1 O 1.00
O (0.1440, 0.7604, 0.4318)  1 P 1.54
O (0.1984, 0.6663, 0.8408)  1 P 1.54
O (0.2316, 0.2033, 0.8931)  1 P 1.54

**To do**
What is needed: reproduce the whole of the rows earlier on with every line break kept.

**Here it is**
# La2TlHg | the Alexandria database | GGA-PBEsol | relaxed
data_La2TlHg
_chemical_formula_sum 'La4 Tl2 Hg2'
_space_group_name_H-M_alt 'I -4 m 2'
_space_group_IT_number 119
_space_group_name_Hall 'I -4 -2'
_cell_length_a 4.6392
_cell_length_b 4.6392
_cell_length_c 10.3440
_cell_angle_alpha 90.00
_cell_angle_beta 90.00
_cell_angle_gamma 90.00
loop_
_atom_site_label
_atom_site_fract_x
_atom_site_fract_y
_atom_site_fract_z
_atom_site_occupancy
La1 0.0000 0.0000 0.0000 1
La2 0.0000 0.5000 0.2500 1
Tl1 0.0000 0.0000 0.5000 1
Hg1 0.0000 0.5000 0.7500 1
# E_form   -435 meV/atom
# DOS at the Fermi energy   1.1316 states/eV/atom
# Total moment   0.0 Bohr magnetons per cell


The following is a GGA-PBEsol calculation of an optimized crystal structure of KSrBe2, from Alexandria via LeMat-Bulk.

a = 4.0777 Å, b = 4.0777 Å, c = 8.8394 Å
α = 102.86°, β = 102.86°, γ = 60.07°
Last column: nearest neighbours and their distance in Å.
Positions (direct):
K (0.0000, 0.0000, 0.0000)  6 Be 3.39-3.40
Sr (0.8339, 0.8339, 0.4865)  6 Be 3.05-3.06
Be (0.2401, 0.2401, 0.7140)  3 Be 2.35-2.36
Be (0.5746, 0.5746, 0.7139)  3 Be 2.35-2.36

## Properties
E above lowest polymorph = 0.000 eV/atom
space group = No. 8
formation energy = 517 meV/atom
mass density = 1.95 g cm⁻³
total magnetization = 0.0 μB/f.u.



The following is a GGA-PBEsol calculation of an optimized crystal structure of TbB2C, from Alexandria via LeMat-Bulk.

a = 6.7726 Å, b = 6.7726 Å, c = 7.4169 Å
α = 90.00°, β = 90.00°, γ = 90.00°
Last column: nearest neighbours and their distance in Å.
Positions (direct):
Tb (0.1902, 0.3098, 0.2500)  4 C 2.59-2.60, 10 B 2.63-2.76
Tb (0.1902, 0.3098, 0.7500)  4 C 2.59-2.60, 10 B 2.63-2.76
Tb (0.3098, 0.8098, 0.2500)  4 C 2.59-2.60, 10 B 2.63-2.76
Tb (0.3098, 0.8098, 0.7500)  4 C 2.59-2.60, 10 B 2.63-2.76
Tb (0.6902, 0.1902, 0.2500)  4 C 2.59-2.60, 10 B 2.63-2.76
Tb (0.6902, 0.1902, 0.7500)  4 C 2.59-2.60, 10 B 2.63-2.76
Tb (0.8098, 0.6902, 0.2500)  4 C 2.59-2.60, 10 B 2.63-2.76
Tb (0.8098, 0.6902, 0.7500)  4 C 2.59-2.60, 10 B 2.63-2.76
B (0.0342, 0.8492, 0.0000)  2 C 1.62, 1 B 1.76
B (0.0946, 0.5968, 0.0000)  1 C 1.59, 1 B 1.76
B (0.0968, 0.5946, 0.5000)  1 C 1.59, 1 B 1.76
B (0.1508, 0.0342, 0.5000)  2 C 1.62, 1 B 1.76
B (0.3492, 0.5342, 0.5000)  2 C 1.62, 1 B 1.76
B (0.4032, 0.0946, 0.5000)  1 C 1.59, 1 B 1.76
B (0.4054, 0.0968, 0.0000)  1 C 1.59, 1 B 1.76
B (0.4658, 0.3492, 0.0000)  2 C 1.62, 1 B 1.76
B (0.5342, 0.6508, 0.0000)  2 C 1.62, 1 B 1.76
B (0.5946, 0.9032, 0.0000)  1 C 1.59, 1 B 1.76
B (0.5968, 0.9054, 0.5000)  1 C 1.59, 1 B 1.76
B (0.6508, 0.4658, 0.5000)  2 C 1.62, 1 B 1.76
B (0.8492, 0.9658, 0.5000)  2 C 1.62, 1 B 1.76
B (0.9032, 0.4054, 0.5000)  1 C 1.59, 1 B 1.76
B (0.9054, 0.4032, 0.0000)  1 C 1.59, 1 B 1.76
B (0.9658, 0.1508, 0.0000)  2 C 1.62, 1 B 1.76
C (0.0409, 0.8221, 0.5000)  3 B 1.59-1.62
C (0.1779, 0.0409, 0.0000)  3 B 1.59-1.62
C (0.3221, 0.5409, 0.0000)  3 B 1.59-1.62
C (0.4591, 0.3221, 0.5000)  3 B 1.59-1.62
C (0.5409, 0.6779, 0.5000)  3 B 1.59-1.62
C (0.6779, 0.4591, 0.0000)  3 B 1.59-1.62
C (0.8221, 0.9591, 0.0000)  3 B 1.59-1.62
C (0.9591, 0.1779, 0.5000)  3 B 1.59-1.62

## Properties
space group = No. 135
formation energy = -586 meV/atom
mass density = 7.52 g cm⁻³
total magnetization = 0.0 μB/f.u.



The following is a GGA-PBEsol calculation of an optimized crystal structure of LiAlPHO5, from Alexandria via LeMat-Bulk.

a = 5.0215 Å, b = 5.2062 Å, c = 7.0195 Å
α = 106.33°, β = 109.08°, γ = 98.35°
Last column: nearest neighbours and their distance in Å.
Positions (direct):
Li (0.2475, 0.3893, 0.3159)  5 O 1.98-2.09
Li (0.7525, 0.6107, 0.6841)  5 O 1.98-2.09
Al (0.5000, 0.0000, 0.0000)  6 O 1.90-1.92
Al (0.5000, 0.0000, 0.5000)  6 O 1.85-1.92
P (0.1744, 0.3575, 0.7317)  4 O 1.54-1.55
P (0.8256, 0.6425, 0.2683)  4 O 1.54-1.55
H (0.1500, 0.9276, 0.1528)  1 O 1.00
H (0.8500, 0.0724, 0.8472)  1 O 1.00
O (0.1440, 0.7604, 0.4318)  1 P 1.54
O (0.1984, 0.6663, 0.8408)  1 P 1.54
O (0.2316, 0.2033, 0.8931)  1 P 1.54